Brief:
It remains to return the material underneath from the first line to the one with "-7.752 5.599" verbatim.

Source:
-- begin --
1.
V3CrP6O24: relaxed, PBE+U. Values from VASP.

Summary:
Formation energy (eV/atom): -2.52
E (MP2020) (eV/cell): -273.9

The structure in Quantum ESPRESSO input format:
```
&SYSTEM
  ibrav = 0, nat = 34, ntyp = 4
/
ATOMIC_SPECIES
V 50.94 V.upf
Cr 52.00 Cr.upf
P 30.97 P.upf
O 16.00 O.upf
ATOMIC_POSITIONS angstrom
V -14.327 6.672 9.863
V -10.683 4.975 7.354
V -6.011 2.799 4.138
Cr -2.361 1.100 1.625
P -10.530 6.299 4.301
P -10.860 1.673 6.951
P -7.752 5.599 8.810
P -8.910 2.169 2.646
P -5.788 6.089 4.529
P -6.136 1.444 7.166
O -12.503 4.873 6.862
O -10.940 6.780 7.843
O -9.662 7.595 4.393
O -11.151 4.456 9.108
O -10.269 5.509 5.617
O -10.098 5.423 3.162
O -11.681 1.401 5.650
O -10.466 3.178 6.907
O -8.899 5.113 7.875
O -10.136 1.771 3.507
O -9.166 3.285 1.681
O -7.074 6.952 4.450
O -9.588 0.879 6.978
O -7.443 4.409 9.773
O -6.576 5.927 7.938
O -7.791 2.578 3.667
O -6.277 4.598 4.500
O -4.948 6.337 5.743
O -6.522 2.329 8.379
O -6.366 2.339 5.899
O -5.566 3.264 2.312
O -6.917 0.172 7.054
O -5.695 0.941 3.696
O -4.136 2.965 4.592
CELL_PARAMETERS angstrom
-2.549 5.826 5.996
-7.867 3.791 -0.353
-6.245 -1.859 5.826
```

2.
Li9Mn2Co5O16: relaxed, PBE+U. Values from VASP.

Summary:
Energy relative to the lowest polymorph listed for this composition (eV per formula unit): 1.23
Formation energy (eV/atom): -1.83
E (MP2020) (eV/cell): -208.6

The structure in Quantum ESPRESSO input format:
```
&SYSTEM
  ibrav = 0, nat = 32, ntyp = 4
/
ATOMIC_SPECIES
Li 6.94 Li.upf
Mn 54.94 Mn.upf
Co 58.93 Co.upf
O 16.00 O.upf
ATOMIC_POSITIONS angstrom
Li -7.740 -2.767 0.346
Li -3.494 -0.786 -1.580
Li -5.663 1.143 -2.037
Li -9.856 -0.815 -0.123
Li -2.197 -1.005 0.998
Li -6.444 -2.965 2.925
Li -8.572 -1.003 2.514
Li -4.370 0.953 0.621
Li -5.842 -0.111 2.836
Mn -7.988 1.833 2.420
Mn -9.262 2.020 -0.197
Co -4.998 -1.822 0.723
Co -7.126 0.062 0.248
Co -4.130 -3.597 -1.471
Co -6.288 -1.633 -1.926
Co -2.834 -3.822 1.106
O -2.325 -4.217 -2.395
O -5.237 -0.407 -0.704
O -7.576 1.532 -0.931
O -4.451 -2.253 -2.905
O -4.024 -0.637 1.913
O -8.283 -2.701 3.839
O -3.130 -2.447 -0.191
O -6.397 1.359 1.490
O -5.796 -3.176 -0.630
O -1.658 -1.066 -2.494
O -4.878 -4.888 -2.883
O -7.941 -1.184 -0.942
O -0.305 -1.270 0.058
O -4.667 -3.371 2.031
O -6.767 -1.357 1.471
O -3.558 -5.082 -0.172
CELL_PARAMETERS angstrom
-2.528 0.371 -5.193
-1.287 -5.706 0.219
-7.379 1.762 3.718
```

3.
LiMn2OF5: relaxed, PBE+U. Values from VASP.

Summary:
Energy relative to the lowest polymorph listed for this composition (eV per formula unit): 0.45
Formation energy (eV/atom): -2.66
E (MP2020) (eV/cell): -234.7

The structure in Quantum ESPRESSO input format:
```
&SYSTEM
  ibrav = 0, nat = 36, ntyp = 4
/
ATOMIC_SPECIES
Li 6.94 Li.upf
Mn 54.94 Mn.upf
O 16.00 O.upf
F 19.00 F.upf
ATOMIC_POSITIONS angstrom
Li 0.019 6.713 1.234
Li 0.019 10.749 3.745
Li 2.319 15.444 1.234
Li 2.319 2.018 3.745
Mn 0.129 4.858 3.795
Mn 4.647 0.969 1.265
Mn 0.129 12.603 1.284
Mn 4.647 16.492 3.776
Mn 2.364 9.700 1.265
Mn 2.208 13.589 3.795
Mn 2.364 7.761 3.776
Mn 2.208 3.872 1.284
O 1.145 5.058 0.331
O 1.145 12.404 2.843
O 1.192 3.673 2.843
O 1.192 13.789 0.331
F 1.090 10.983 0.417
F 1.090 6.479 2.928
F 1.045 0.701 2.876
F 1.045 16.761 0.365
F 1.292 8.030 0.365
F 1.292 9.432 2.876
F 1.247 15.210 2.928
F 1.247 2.252 0.417
F 3.439 13.819 2.211
F 3.439 3.643 4.723
F 3.330 15.123 4.583
F 3.330 2.339 2.072
F 3.396 8.076 2.125
F 3.396 9.386 4.637
F 3.615 0.655 4.637
F 3.615 16.807 2.125
F 3.682 6.392 4.583
F 3.682 11.070 2.072
F 3.572 5.088 2.211
F 3.572 12.374 4.723
CELL_PARAMETERS angstrom
4.674 0.000 0.000
0.000 17.462 0.000
0.000 0.000 5.023
```
-- stop --

Here it is:
1.
V3CrP6O24: relaxed, PBE+U. Values from VASP.

Summary:
Formation energy (eV/atom): -2.52
E (MP2020) (eV/cell): -273.9

The structure in Quantum ESPRESSO input format:
```
&SYSTEM
  ibrav = 0, nat = 34, ntyp = 4
/
ATOMIC_SPECIES
V 50.94 V.upf
Cr 52.00 Cr.upf
P 30.97 P.upf
O 16.00 O.upf
ATOMIC_POSITIONS angstrom
V -14.327 6.672 9.863
V -10.683 4.975 7.354
V -6.011 2.799 4.138
Cr -2.361 1.100 1.625
P -10.530 6.299 4.301
P -10.860 1.673 6.951
P -7.752 5.599 8.810